Mike Gagnon http://www.hammercomics.com 4m 1,002
The views of this article are the perspective of the author and may not be reflective of Confessions of the Professions.
Wow, so how do I describe a day in my life? What is a typical day? Every day is different; I’m working on new things, talking to different people. That’s exactly why I work as a freelance artist and writer, I need a fast paced, ever changing work environment. Every day is different and that’s why I love it. If I work on the same project for too long it gets boring, I lose my passion and I struggle to finish it.
People tell me I’m living the dream, but they don’t understand the industry or the work environment. They think what I’m doing is easy. While I can’t argue with the fact that I am living my dream, this is far from easy. This level of freedom, to set your own schedule and work from home for clients around the world, comes with a fairly high level of stress.
Generally, for all the amazing improvements that technology has brought to the publishing industry, it’s major downfall is creating an environment where people have come to expect things instantly. This creates a demand with many clients for unrealistically short deadlines. Factor in friends and family who think you have the easiest job in the world, call or drop by all the time, expecting you to be able to drop what you’re doing and finish it later because “your job is so easy”. It’s a recipe for stress with a side of mental disorder.
People think that I can roll out of the sack any time I want and just leisurely type away at my laptop, sipping away at a tasty beverage while sitting in front of my TV, watching “The Inbetweeners” or “It’s Always Sunny in Philidelphia”.
Nothing could be further from the truth.
Especially if you are successful. The more successful you are, the more time your day to day business operation takes every day and the less time you have to complete the creative work.
On my average day:
Calculated crystals from another source follow >
An optimized crystal structure of La4SmY3. Source: Alexandria, functional PBE.

abc: 5.1889 10.3397 10.3738
angles: 90.00 90.00 90.00
With the nearest neighbours (Å) after each atom.
Element x y z (fractional)
Sm (0.0644, 0.3813, 0.0000)  8 Y 3.57-3.67, 4 La 3.70
Y (0.0644, 0.6185, 0.7500)  5 Y 3.57-3.67, 3 Sm 3.57-3.67, 4 La 3.70-3.71
La (0.0644, 0.1255, 0.2494)  8 La 3.66-3.68, 1 Sm 3.70, 3 Y 3.71
Y (0.5644, 0.3815, 0.7500)  5 Y 3.57-3.67, 3 Sm 3.57-3.67, 4 La 3.70-3.71
Y (0.5644, 0.3815, 0.2500)  5 Y 3.57-3.67, 3 Sm 3.57-3.67, 4 La 3.70-3.71
Y (0.0644, 0.3811, 0.5000)  6 Y 3.57-3.67, 2 Sm 3.57, 4 La 3.70-3.71
La (0.0644, 0.8738, 0.0000)  8 La 3.67-3.68, 4 Y 3.70
La (0.0644, 0.8734, 0.5000)  8 La 3.66-3.68, 2 Sm 3.70, 2 Y 3.70
La (0.5644, 0.1262, 0.5000)  8 La 3.67-3.68, 4 Y 3.70
La (0.5644, 0.1266, 0.0000)  8 La 3.66-3.68, 2 Sm 3.70, 2 Y 3.70
La (0.0644, 0.1255, 0.7506)  8 La 3.66-3.68, 1 Sm 3.70, 3 Y 3.71
Y (0.0644, 0.6185, 0.2500)  5 Y 3.57-3.67, 3 Sm 3.57-3.67, 4 La 3.70-3.71
Sm (0.5644, 0.6187, 0.5000)  8 Y 3.57-3.67, 4 La 3.70
Y (0.5644, 0.6189, 0.0000)  6 Y 3.57-3.67, 2 Sm 3.57, 4 La 3.70-3.71
La (0.5644, 0.8745, 0.2506)  8 La 3.66-3.68, 1 Sm 3.70, 3 Y 3.71
La (0.5644, 0.8745, 0.7494)  8 La 3.66-3.68, 1 Sm 3.70, 3 Y 3.71

## Properties
- DFT formation energy (eV per atom) = 0.024
- energy relative to the lowest polymorph listed for this composition (meV per atom) = 0.0
- SG = Pmmn

----------

A relaxed ErU6 crystal, computed with GGA-PBE.

Magnetic moment in μB/f.u.: 0.66
Raw total energy in eV/atom: -9.5131
Energy of formation from the pure elements in eV per atom: 0.814

Cell and atoms, written as POSCAR:
```
ErU6
1.0
7.112 0.000 0.000
0.000 7.112 0.000
0.000 0.000 7.112
Er U
2 12
Cartesian
0.000 0.000 0.000 Er
3.556 3.556 3.556 Er
0.000 1.778 3.556 U
0.000 3.556 1.778 U
0.000 3.556 5.334 U
0.000 5.334 3.556 U
1.778 0.000 3.556 U
1.778 3.556 0.000 U
3.556 0.000 1.778 U
3.556 0.000 5.334 U
3.556 1.778 0.000 U
3.556 5.334 0.000 U
5.334 0.000 3.556 U
5.334 3.556 0.000 U
```

***

A relaxed Ac6Te3PbSe2 crystal, computed with GGA-PBE.

Magnetic moment in μB/f.u.: 0.00
Energy relative to the elements, uncorrected in eV per formula unit: -17.65
Raw total energy in eV/atom: -5.2000

Cell and atoms, written as POSCAR:
```
Ac6Te3PbSe2
1.0
10.245 -2.337 0.000
10.245 2.337 0.000
-2.326 0.000 9.084
Ac Te Pb Se
6 3 1 2
Cartesian
-0.443 0.000 2.268 Ac
5.720 0.000 3.897 Ac
4.746 0.000 8.182 Ac
13.417 0.000 0.902 Ac
12.443 0.000 5.187 Ac
18.606 0.000 6.817 Ac
1.441 0.000 7.554 Te
9.082 0.000 4.542 Te
16.723 0.000 1.530 Te
10.245 0.000 0.000 Pb
2.668 0.000 3.047 Se
15.495 0.000 6.038 Se
```

***

A relaxed LiTlAuS2 crystal, computed with GGA-PBE.

Magnetic moment in μB/f.u.: 0.00
Energy relative to the elements, uncorrected in eV per formula unit: -2.07
Raw total energy in eV/atom: -3.5765

Cell and atoms, written as POSCAR:
```
LiTlAuS2
1.0
2.738 -6.846 0.000
2.738 6.846 0.000
0.000 0.000 5.899
Li Tl Au S
2 2 2 4
Cartesian
1.369 0.000 0.000 Li
The calculated crystals stop here >
6:30 am – I wake up having to pee. Then I can’t get back to sleep because I’m thinking about all the work I have to do that day, messages I have to send, e-mail responses I’m behind on, etc.
7:30 am – I give up on trying to go back to sleep. I go to the home office to work, TV will distract me too much. Also my girlfriend won’t be awake for another hour, and I don’t want to wake her too early. Never, never wake her too early. Ever. If I’m lucky I’ll remember to do half the stuff that has been swimming around in my head, keeping me awake for the last hour. So I settle in and get to work, starting out with just checking my emails, catching up on messages, job bidding, contract offers, job postings, more e-mails and touching base with clients on work in progress.
9 am – My girlfriend and I have breakfast!
9:30 am – Back to work. If I’m incredibly lucky, I got all the messages done that I NEEDED to do that day. Not all the messages, just the ones I needed to do. If I’m lucky. At this point I can actually settle into the creative work. This is what I love, this is why I do it. Some days I’m writing a humorous script for an animated commercial, some days I’m drawing a quirky comic strip about a cartoon pug, some days I’m coloring some amazing comic books, like ComixTribe’s “The Standard”. It could be anything really, but every day is different, and this is what I love.
12:00 – Lunch! With my girlfriend!
12:30 pm – Back at it again. When I return I quickly peruse my messages and reply to the ones that are most urgent and need me to respond or communicate.
1:00 pm – Back to the amazing creative work. If I have two equally important freelance gigs this is where I would switch up and work on a different job. Sometimes splitting days in half on important gigs like this is helpful to prevent anything from becoming too monotonous.
3:30 pm – I’ll be stiff as at this point. Time to get up and walk around, stretch the legs. Grab a snack and a drink.
3:40 pm – Back to work, focusing hard on whatever script needs to be written or page drawn.
4:00 pm – Girlfriend interrupts with a cute puppy video on youtube. Then a kitty video. Then a monkey getting drunk….this goes on until I have to kick her out of the office. And I get back to work.
4:30 pm – Time to stop shutting out my girlfriend and spend some time with family. We plan make and eat supper together, talk about life etc.
5:30 pm – I sneak in some more work time.
6:00 pm – As exciting as this work is, there’s a lot of sitting involved. This could cause a sedentary lifestyle and leads to the “fat comic geek” stereo type. Most days I use this time to move around and be active, taking part in kickboxing classes and other martial arts. Some days I swill skip kickboxing and use this time to conduct business meetings, private art lessons, or make a weak attempt at being a stand-up comedian at a local open mic.
8:30 pm – Unless I went out to an open mic, this is when we settle back in at home. I’ll probably get a phone call from a friend or family member and my girlfriend and I will settle in and watch a movie or TV show.
9:30 pm – Yep I have grabbed my laptop and I’m working on e-mails or messages again that I forgot earlier in the day and checking Facebook.
10:30 pm – I get off the computer and focus on whatever show we are watching again.
11:30 pm – time for sleep!
Lather, rinse repeat and that’s an average day in my life as a comic creator!